The lottery is a popular form of gambling in which numbers are drawn to determine the winners of prize money. It is a game of chance and can be played by any person over the age of 18. Despite the popularity of this type of gambling, many people have reservations about it, including its perceived regressive impact on low-income families. Despite these concerns, the lottery is becoming increasingly prevalent in the United States and around the world. This article examines the history of the lottery, the current state of its operation, and its effects on society.
[Molecular data, as found in the file]
<<<
# 1
118
Properties=species:S:1:pos:R:3:forces:R:3 method="wB97M-V/def2-TZVPD" homo_lumo_gap_ev=6.08 fmax_ev_per_a=0.45 mol_weight_g_mol=1159.150
Pb 0.228 1.440 -1.221 -0.21 -0.33 0.21
O 0.361 -2.119 -4.787 -0.12 -0.05 -0.03
C 0.277 -1.034 -4.011 0.08 0.05 0.23
O 1.103 -0.754 -3.176 0.00 -0.06 -0.04
C -0.940 -0.208 -4.281 -0.18 0.02 -0.11
C -1.796 -0.470 -5.334 0.03 -0.04 -0.02
C -2.873 0.390 -5.531 0.01 0.00 0.00
C -3.052 1.456 -4.675 -0.03 -0.02 0.01
C -2.151 1.631 -3.625 0.10 0.08 0.08
N -1.129 0.813 -3.443 0.06 -0.02 -0.14
C -2.328 2.800 -2.640 -0.02 0.07 -0.04
O -3.329 3.477 -2.793 -0.01 0.06 0.04
O -1.409 2.967 -1.758 0.06 -0.21 0.00
H 1.117 -2.641 -4.478 0.11 0.00 0.05
H -1.618 -1.317 -5.979 -0.01 0.01 -0.01
H -3.559 0.219 -6.350 0.00 0.01 0.00
H -3.868 2.158 -4.772 0.00 0.01 0.00
C -1.420 -4.424 0.336 0.06 0.06 0.02
C -0.901 -3.285 -0.550 -0.07 0.09 0.04
C -1.694 -3.208 -1.859 0.07 0.03 0.05
C 0.586 -3.459 -0.821 -0.06 0.06 -0.13
C 0.911 -4.580 -1.572 0.00 -0.06 -0.08
C 2.193 -4.828 -2.021 -0.02 0.03 0.03
C 3.193 -3.988 -1.584 -0.02 -0.01 0.01
C 2.953 -2.925 -0.713 0.05 0.09 0.05
C 4.252 -2.321 -0.154 -0.04 0.01 -0.11
C 5.212 -3.409 0.351 -0.01 0.02 0.06
C 4.966 -1.435 -1.187 -0.04 -0.02 0.05
C 1.607 -2.572 -0.405 0.23 -0.14 -0.03
N 1.229 -1.350 0.238 -0.31 0.14 0.00
C 0.379 -1.324 1.383 0.16 -0.07 0.14
C -0.696 -0.449 1.646 0.15 0.20 -0.02
N -1.018 0.677 0.988 -0.18 0.06 -0.06
C -2.277 1.323 1.229 0.01 -0.08 0.11
C -2.393 2.465 2.057 -0.09 -0.05 0.15
C -3.626 3.092 2.205 0.00 -0.02 0.05
C -4.763 2.636 1.570 -0.04 -0.02 -0.04
C -4.655 1.529 0.757 -0.02 0.02 0.05
C -3.442 0.871 0.572 0.11 0.08 -0.01
C -3.471 -0.329 -0.349 -0.07 -0.02 -0.05
C -4.117 -1.520 0.373 0.08 0.01 -0.06
C -4.247 -0.028 -1.644 0.08 0.03 0.08
C -1.261 3.118 2.832 0.13 -0.11 -0.08
C -0.406 3.948 1.871 -0.11 0.05 0.08
C -0.474 2.168 3.743 -0.02 0.09 -0.05
C -1.336 -0.965 2.923 -0.06 -0.02 -0.02
C -2.409 -0.600 3.701 0.02 -0.08 -0.16
C -2.700 -1.362 4.862 -0.03 0.01 0.01
C -1.953 -2.448 5.244 0.01 -0.01 0.01
C -0.834 -2.842 4.470 0.02 0.07 -0.05
C 0.057 -3.925 4.727 -0.01 -0.01 0.00
C 1.101 -4.151 3.870 -0.01 -0.02 0.04
C 1.341 -3.355 2.716 -0.02 0.03 -0.04
C 0.492 -2.310 2.441 0.03 -0.08 0.01
C -0.577 -2.076 3.342 -0.02 0.00 -0.07
H -2.457 -4.243 0.613 -0.09 0.01 0.00
H -0.832 -4.508 1.252 -0.02 0.00 -0.03
H -1.375 -5.382 -0.189 0.00 0.00 0.01
H -1.063 -2.352 -0.017 -0.01 -0.01 -0.02
H -1.472 -4.042 -2.524 -0.02 -0.02 -0.02
H -1.471 -2.283 -2.392 0.01 0.05 -0.05
H -2.763 -3.224 -1.656 -0.10 0.05 0.04
H 0.121 -5.268 -1.846 -0.03 0.03 -0.03
H 2.414 -5.677 -2.655 -0.01 0.01 0.01
H 4.213 -4.196 -1.880 0.00 0.00 0.03
H 4.053 -1.742 0.739 -0.17 0.10 0.08
H 5.692 -3.952 -0.462 -0.01 -0.01 0.00
H 4.688 -4.132 0.977 0.02 0.01 0.02
H 6.004 -2.950 0.947 0.01 0.00 -0.02
H 5.451 -2.065 -1.936 -0.02 0.01 -0.01
H 5.738 -0.820 -0.721 0.02 -0.03 -0.01
H 4.279 -0.782 -1.728 0.01 0.04 0.04
H -3.691 3.964 2.846 0.02 0.00 0.00
H -5.711 3.141 1.699 0.01 0.00 0.00
>>>
The use of lotteries as a means of distributing goods, or even property such as land or houses, has a long and varied history, from the casting of lots to choose the next king of Rome to the distribution of garments left behind by Jesus following his Crucifixion. The modern state-run lottery emerged in the United States in 1964, and has become a mainstay of American society. It has been promoted as a way of solving budget problems for state governments without arousing an anti-tax populace, and is now regarded as one of the most successful forms of gambling in the nation.
Misplaced molecular data:
{
  "formula": "C23H42Ge2MnO4PTe",
  "method": "wB97M-V/def2-TZVPD",
  "symbols": ["Mn", "C", "C", "Ge", "C", "C", "C", "C", "Ge", "C", "C", "C", "C", "C", "C", "C", "C", "C", "C", "H", "H", "H", "H", "H", "H", "H", "H", "H", "H", "H", "H", "H", "H", "H", "H", "H", "H", "H", "H", "H", "H", "H", "H", "H", "H", "C", "O", "C", "C", "H", "H", "H", "H", "H", "H", "C", "C", "O", "P", "O", "Te", "O", "C", "C", "H", "H", "H", "H", "H", "H", "H", "H", "H", "H"],
  "positions_angstrom": [[7.6902, -15.0954, 6.5933], [10.1502, -16.8107, 10.8617], [9.2001, -16.7065, 9.6567], [9.5679, -15.1266, 8.4978], [9.7150, -13.5553, 9.7013], [11.0736, -12.8508, 9.6707], [11.1816, -15.5863, 7.5023], [11.2321, -16.7217, 6.7156], [9.3770, -16.7896, 5.8918], [8.7253, -18.7776, 5.9698], [7.2687, -18.8496, 5.5494], [9.8719, -16.2686, 4.0387], [10.2790, -14.8019, 3.9919], [12.3223, -17.6486, 6.4009], [12.3375, -18.6199, 5.3952], [13.4856, -19.4573, 5.1655], [14.5002, -19.4196, 6.0731], [14.5478, -18.4151, 7.1093], [13.5100, -17.5009, 7.2640], [9.8367, -17.7310, 11.4523], [10.1265, -15.9191, 11.4834], [11.1906, -16.9719, 10.4991], [8.1764, -16.7141, 9.9902], [9.2756, -17.6233, 9.0035], [9.4935, -14.0468, 10.6765], [8.8781, -12.8707, 9.4929], [11.3883, -12.5469, 8.6380], [11.8951, -13.4993, 10.0582], [10.9116, -11.9664, 10.3798], [12.1242, -15.0267, 7.8053], [8.9649, -19.2063, 7.0149], [9.3904, -19.2206, 5.1863], [6.6938, -18.0007, 6.0239], [6.8640, -19.7543, 6.0839], [7.0828, -18.9913, 4.4697], [8.9201, -16.3541, 3.4494], [10.6483, -16.9394, 3.6395], [9.7799, -14.0859, 4.6958], [10.1398, -14.3436, 3.0121], [11.3651, -14.7433, 4.1651], [11.5008, -18.6608, 4.7129], [13.5392, -19.9281, 4.2294], [15.3628, -20.0125, 5.9423], [15.3826, -18.4098, 7.8052], [13.6583, -16.7381, 8.0200], [5.4775, -13.5372, 9.4803], [6.1816, -14.7280, 9.1244], [6.1267, -15.3024, 7.8962], [4.8719, -16.0761, 7.4811], [5.3108, -12.9563, 8.5929], [6.1120, -12.9960, 10.2202], [4.5235, -13.7337, 9.9692], [4.0426, -15.5641, 8.0452], [4.8852, -17.1588, 7.8197], [4.7725, -15.9202, 6.4087], [5.0310, -10.7136, 7.2481], [5.9473, -10.0869, 6.2191], [7.1957, -10.8808, 6.2164], [7.6557, -12.1586, 5.4440], [8.7364, -12.8629, 6.2277], [5.9142, -13.8163, 4.9241], [8.3756, -11.7092, 4.0675], [7.7093, -11.0712, 2.9128], [8.8764, -10.4243, 2.1859], [4.3249, -9.9638, 7.4486], [5.5257, -10.9701, 8.1874], [4.5418, -11.6256, 6.9683], [6.2955, -9.0477, 6.4261], [5.5886, -10.1274, 5.1843], [7.0984, -10.2452, 3.3346], [7.2205, -11.8367, 2.3365], [9.4922, -9.8457, 2.8828], [8.4964, -9.8421, 1.3923], [9.6006, -11.1270, 1.7479]],
Despite the fact that many people who play the lottery do not win, lotteries are able to engender enormous amounts of eagerness among participants by creating dreams of a better life. Some examples include the lottery for kindergarten admission at a prestigious school, the lottery for occupying units in a subsidized housing block, and the lottery to select the first pick in the NBA draft.
Calculated molecules, as found in the file
Record 1
{
  "formula": "C7H14O3",
  "method": "ωB97M-V/def2-TZVPD",
  "elements": ["C", "C", "C", "C", "C", "C", "C", "H", "H", "H", "H", "H", "H", "H", "H", "H", "H", "H", "H", "H", "H", "O", "O", "O"],
  "coordinates": [[2.6315, 0.8558, -0.1656], [1.2193, 0.1860, -0.5497], [0.0360, 1.3034, -0.0827], [-1.2674, 0.5978, 0.4484], [-1.5598, -0.5772, -0.5588], [-0.3594, -1.6397, -0.4925], [1.0663, -1.2716, 0.0790], [2.9373, 1.4707, -1.1905], [3.4843, -0.0273, -0.2358], [2.3596, 1.3454, 0.8170], [1.3537, 0.0393, -1.6668], [0.5827, 2.0255, 0.6129], [-0.4853, 1.7402, -0.8744], [-1.2642, 0.1400, 1.4311], [-3.4065, 0.9726, 1.7275], [-1.7494, -0.1163, -1.5679], [-3.0995, -0.0036, 0.2414], [-0.1435, -2.1513, -1.4234], [-0.6678, -2.4440, -0.0083], [1.9474, -1.9892, 0.1261], [1.1346, 0.2394, 2.0404], [-2.4847, 1.5514, 0.0956], [-2.8054, -1.0689, -0.2257], [0.5405, -1.1785, 1.4229]],
  "atomic_forces_ev_per_a": [[0.19, -1.83, -2.95], [1.81, 0.54, -0.18], [1.11, -2.82, 1.90], [0.53, 0.16, -2.71], [2.18, 0.69, 0.09], [1.44, 1.39, -3.28], [-3.52, 2.64, 1.10], [-0.81, -0.58, 3.37], [-2.11, 2.31, 1.00], [1.81, -0.05, -1.15], [-1.01, 0.14, 1.16], [-1.31, -0.73, -0.99], [0.43, 1.49, -1.89], [-0.24, 0.72, 0.23], [1.54, 1.35, -3.19], [1.15, -0.18, 0.43], [-0.15, -4.14, -2.25], [-0.27, 0.49, -1.13], [-1.86, -3.38, 2.94], [-1.14, 0.95, -0.97], [-1.50, -4.28, -1.50], [0.13, -2.72, 5.05], [-1.45, 3.27, 2.72], [3.08, 4.55, 2.20]],
  "lowdin_charge": [-0.11, -0.30, -0.07, -0.32, -0.38, -0.08, -0.32, 0.12, 0.12, 0.04, 0.13, 0.11, 0.08, 0.10, 0.39, 0.16, 0.13, 0.11, 0.06, 0.16, 0.32, -0.15, -0.11, -0.17],
  "charge": 0
}


Record 2
{
  "formula": "C15H21Cl2NO2S2",
  "method": "ωB97M-V/def2-TZVPD",
  "elements": ["C", "C", "C", "C", "H", "H", "S", "N", "S", "O", "O", "C", "C", "C", "C", "C", "C", "H", "H", "C", "H", "H", "H", "H", "H", "C", "C", "C", "C", "H", "H", "Cl", "Cl", "H", "H", "H", "H", "H", "H", "H", "H", "H", "H"],
Although the lottery is often portrayed as an instrument of charity, the evidence shows that it is primarily a tool for economic growth and social control. The lottery has evolved into a highly lucrative industry that is expanding into new games and aggressively promoting itself. Its success has provoked concerns over the effects on compulsive gamblers, its regressive impact on lower-income communities, and the extent to which it is corrupting politics.
As state governments have come to depend on the revenue from the lottery, pressures are increasing to expand its operations even further. While the money the lottery generates is an important source of income for state governments, a cost-benefit analysis of the lottery should take into account not only the direct effect on taxpayers but also its ripple effects through the economy. For example, the disproportionate number of poor people who play the lottery has contributed to America’s late-twentieth century tax revolt. Those who play the lottery are less likely to vote for higher taxes, so the tax revolt has had indirect impacts on their lives as well. Moreover, the money spent on lottery tickets can be better spent on programs that benefit lower-income communities.